Chapter 63 - Five great elements- Pancha-mahabhutas; their causal, subtle and gross evolutes in an individual and universe, with reference to Yogic exercises

* Five great elements- Pancha-mahabhutas; their causal, subtle and gross evolutes in an individual and universe, with reference to Yogic exercises.

Five great elements- Pancha-mahabhutas; their causal, subtle and gross evolutes in an individual and universe, with reference to Yogic exercises. 

Shri Narayan Muni said:- 

A master Yogi, who has attained Samadhi-equipoise, is self dependant; and he retains his body at his own will or abundance it, being free, from the fear of death. 1. 

For a Yogin, wishing for, either abandonment of his body or retention of the body, for long time in this world, the grasp of five gross Elements, is essential. 2. 

Without knowing the purposes of human body and the Brahmic-egg (Pinda- brahmanda), how can he know the art of abandoning and/or non-abandoning the mortal body? 3. 

So, the five gross elements, which are the root causes and their effects, present in the cosmic egg, as well as human body, must to be known. 4. 

Shatanand said:- 

O omnipresent Lord! I wish to specifically know about the gross elements, which are the cause of individual body, as well as cosmic egg. Thou deserveth to explain that. 5. 

In case these gross Elements: earth etc. are of equal status, how the difference among the effects and the causes would be understood ? 6. 

Shri Narayan Muni said:- 

Due to the paucity or amplitude of the effects and the causes, in the context of the role, either as the object of substratum or the substratum itself, the difference is to be understood. 7. 

Since, the gross elements are the causes and the human body and the cosmos, those are present in the form of effect, as in the case of earthen pots etc. on the earth, the entities named as gross elements are in the form of substratum of the eggs etc. It is like the sea and the waves on water. 8 - 9. 

The five gross elements are dependent on the sentient person and the primordial matter, alone. By the union of those two, the eggs are born through them, indeed. 10. 

Just as on the surface of earth, the generation of eggs is seen, due to the union of pairs of birds, which are born out of eggs, due to the potency of the Supreme self, O talented one! Likewise, due to the union of sentient Person and the primordial matter, the generation of eggs takes place, through the gross elements. This happens due to the will of the Supreme self, through those two and not otherwise. 11 - 12. 

Whatever five elements are in the Cosmos, those are originated, only because of the will of God, from the portions of those gross elements. Just as the generation of birds, body takes place through the egg, of an egg-born bird; likewise, in this cosmos, the generation of creatures takes place, in course of time. 13 - 14 

So the sages, who have the knowledge of that (cosmology), have said that, those gross elements, which are called cause, have become the elements, present amidst the Brahmic-egg (cosmos), are named as effect. 15. 

The gross human body, called Pinda, which originates through the union of semen and zygote of a man and a woman, it is also known as born from the portions of five gross elements.16. 

There, the solid base, is known as the earth and liquid part in body, is known as water element, and body heat is called Tejas element; and activity is wind-element; and empty space in body, is the ether element, O Suvrat! Thus, all the five gross elements are present in whole body. Therein also, the three elements: fire, water and wind are especially present in the body; this is to be mainly understood by the Yogin. 17-19

Crystal structures, as found in the file:
┌──
No. 1
Material: PrGa2PtAu
Method: DFT, PBE-GGA
State: optimized geometry

Output
**Symmetry**: P4/nmm, No. 129
**Uncorrected energy**: -4.865 eV per atom
**ΔE to the lowest computed polymorph**: 0 meV per atom

Lattice parameters (Å, degrees): 4.3976 4.3976 10.4744 90.00 90.00 90.00
Last column: nearest neighbours and their distance in Å.
Sites, in units of the cell vectors:
Pr  0.2500  0.2500  0.2404  4 Pt 3.34, 8 Ga 3.34-3.35, 4 Au 3.50
Pr  0.7500  0.7500  0.7596  4 Pt 3.34, 8 Ga 3.34-3.35, 4 Au 3.50
Ga  0.2500  0.2500  0.6408  1 Pt 2.45, 4 Au 2.65
Ga  0.2500  0.7500  0.0000  4 Pt 2.56
Ga  0.7500  0.2500  0.0000  4 Pt 2.56
Ga  0.7500  0.7500  0.3592  1 Pt 2.45, 4 Au 2.65
Pt  0.2500  0.2500  0.8751  5 Ga 2.45-2.56
Pt  0.7500  0.7500  0.1249  5 Ga 2.45-2.56
Au  0.2500  0.7500  0.5000  4 Ga 2.65
Au  0.7500  0.2500  0.5000  4 Ga 2.65

---

No. 2
Material: Mg2Pd2O5
Method: DFT, PBE-GGA
State: optimized geometry

Output
**Symmetry**: P4/mmm, No. 123
**Uncorrected energy**: -5.206 eV per atom

Lattice parameters (Å, degrees): 3.5713 3.5713 7.8604 90.00 90.00 90.00
Last column: nearest neighbours and their distance in Å.
Sites, in units of the cell vectors:
Mg  0.0000  0.0000  0.2462  5 O 1.94-1.95
Mg  0.0000  0.0000  0.7538  5 O 1.94-1.95
Pd  0.5000  0.5000  0.0000  4 O 2.53
Pd  0.5000  0.5000  0.5000  8 O 2.16
O  0.0000  0.0000  0.0000  2 Mg 1.94
O  0.0000  0.5000  0.3465  2 Mg 1.95, 2 Pd 2.16
O  0.0000  0.5000  0.6535  2 Mg 1.95, 2 Pd 2.16
O  0.5000  0.0000  0.3465  2 Mg 1.95, 2 Pd 2.16
O  0.5000  0.0000  0.6535  2 Mg 1.95, 2 Pd 2.16

~~~~~

# TiNbRh

A relaxed TiNbRh crystal (PBE, the Alexandria database).

The structure in POSCAR format:
```
TiNbRh
1.0
4.444 0.000 0.000
-2.222 3.849 0.000
0.000 0.000 2.814
Ti Nb Rh
1 1 1
Cartesian
0.000 0.000 0.000
0.000 2.566 1.865
2.222 1.283 0.920
```

## Properties
E_form = -0.288 eV/atom
DFT total energy = -0.641 Ry/atom
Fermi-level density of states = 0.801 states/eV per atom
relative energy among the computed polymorphs = 0.000 eV/atom

# Pd2Pb2Au

A relaxed Pd2Pb2Au crystal (PBE, the Alexandria database).

The structure in POSCAR format:
```
Pd2Pb2Au
1.0
7.869 0.000 0.000
0.000 7.869 0.000
0.000 0.000 3.471
Pd Pb Au
4 4 2
Cartesian
1.038 2.897 0.000
2.897 6.831 0.000
4.972 1.038 0.000
6.831 4.972 0.000
1.276 5.211 1.736
2.658 1.276 1.736
5.211 6.593 1.736
6.593 2.658 1.736
0.000 0.000 1.736
3.935 3.935 1.736
```

## Properties
E_form = -0.021 eV/atom
DFT total energy = -0.311 Ry/atom
Fermi-level density of states = 0.496 states/eV per atom
relative energy among the computed polymorphs = 0.144 eV/atom

# FeAs3

A relaxed FeAs3 crystal (PBE, the Alexandria database).

The structure in POSCAR format:
```
FeAs3
1.0
5.790 0.000 0.000
-2.895 5.014 0.000
0.000 0.000 9.606
Fe As
4 12
Cartesian
0.000 0.000 0.000
0.000 0.000 4.803
0.000 3.343 2.402
2.895 1.671 7.205
-1.447 2.507 0.000
-1.447 2.507 4.803
0.000 1.520 7.205
-1.579 4.254 7.205
1.316 0.760 2.402
2.895 0.000 0.000
2.895 0.000 4.803
1.447 2.507 0.000
└──

Among the above three, wind element (Vayu), is the main; and other two are dependent on it. And the wind element is also dependent on those two. Thus, there is interdependence of three elements. 20. 

Among all the six sheaths (Koshas), Agni element is the one that ripens the body constituents (Dhatu), in the role of stomachic fire (Jataragni) and bears the body firmly. 21. 

Water in the body, in the form of virility is the cause of human body. Human body- sustains by the strength of virility; and with exhaustion of virility, the body perishes. 22. 

Wind element sustains body, having attained the essence of sense organs and activating entire body through the pentad of vital breaths (Prana, Apana, Vyana, Udana and Samana). 23. 

All the vital breaths are present in the bodies of embodied souls, by concentrating in centre of the naval. Those move oblique, upwards and downwards, there from alone. 24. 

The wind mainly flows in Sushumna, all the time. From there, it enters into all the veins, ancillary to it. 25. 

O the best one! The vital breath: Prana is stationed above the navel, while protecting the body. It stays in the head, as well as, in the (stomachic) fire, after pervading that body-region. 26. 

Apana breath stays beneath the navel and kindles the stomachic fire. The stomachic fire dwells in-between the vital breaths: Apana and Prana. 27.

The vital breath: Vyaana, remains in all the body joints, while activating the body. The vital breath: Udaana is located in the throat, playing the role of attempting forcible action, through buoyancy. 28. 

The vital breath: Samanaka is located in the navel, while kindling the heat in the sheaths, by assembling anything that is eaten or drunk and making it duly, respectively channelized. 29. 

Attached: crystal structures =
┌──
(1)
DFT (PBE-GGA) results for crystalline TaTcBr2 at its relaxed geometry.

Cell lengths 3.2642, 3.2642, 6.4177 Å; angles 90.00, 90.00, 90.00 degrees
Each line ends with the local moment (μB).
Sites, in units of the cell vectors:
Br  0.0000  0.0000  0.4987  0.01
Br  0.0000  0.0000  0.0013  0.01
Ta  0.5000  0.5000  0.2500  -0.03
Tc  0.5000  0.5000  0.7500  0.59

Computed properties:
density of states at the Fermi level: 4.8 states/eV/cell
magnetization: 0.16 μB per atom
raw formation energy: 0.98 eV per atom

---

(2)
DFT (PBE-GGA) results for crystalline TaTcBr2 at its relaxed geometry.

Cell lengths 3.8369, 3.8369, 9.2177 Å; angles 83.78, 83.78, 49.25 degrees
Sites, in units of the cell vectors:
Br  0.0115  0.0115  0.9291
Br  0.2423  0.2423  0.3289
Tc  0.7647  0.7647  0.5390
Ta  0.4816  0.4816  0.7031

Computed properties:
density of states at the Fermi level: 0.1 states/eV/cell
magnetization: 0.00 μB per atom
raw formation energy: -0.18 eV per atom

---

(3)
DFT (PBE-GGA) results for crystalline TaTcBr2 at its relaxed geometry.

Cell lengths 3.3845, 4.1175, 7.8652 Å; angles 72.38, 90.00, 90.00 degrees
Sites, in units of the cell vectors:
Tc  0.5000  0.8172  0.6480
Br  0.0000  0.9872  0.9104
Br  0.5000  0.2684  0.3442
Ta  0.0000  0.4272  0.5973

Computed properties:
density of states at the Fermi level: 1.7 states/eV/cell
magnetization: 0.00 μB per atom
raw formation energy: 0.07 eV per atom

---

(4)
DFT (PBE-GGA) results for crystalline TaTcBr2 at its relaxed geometry.

Cell lengths 9.5563, 9.5563, 9.5563 Å; angles 20.37, 20.37, 20.37 degrees
Each line ends with the local moment (μB).
Sites, in units of the cell vectors:
Ta  0.4885  0.4885  0.4885  0.01
Tc  0.7623  0.7623  0.7623  0.49
Br  0.2268  0.2268  0.2268  0.02
Br  0.0224  0.0224  0.0224  0.14

Computed properties:
density of states at the Fermi level: 4.5 states/eV/cell
magnetization: 0.18 μB per atom
raw formation energy: -0.10 eV per atom

---

(5)
DFT (PBE-GGA) results for crystalline TaTcBr2 at its relaxed geometry.

Cell lengths 4.5785, 4.5785, 4.5785 Å; angles 60.00, 60.00, 60.00 degrees
Sites, in units of the cell vectors:
Ta  0.5000  0.5000  0.5000
Tc  0.0000  0.0000  0.0000
Br  0.7500  0.7500  0.7500
Br  0.2500  0.2500  0.2500

Computed properties:
density of states at the Fermi level: 4.5 states/eV/cell
magnetization: 0.00 μB per atom
raw formation energy: 0.98 eV per atom

---

(6)
DFT (PBE-GGA) results for crystalline Ta2Tc2Br at its relaxed geometry.

Cell lengths 7.7146, 7.7146, 3.1113 Å; angles 90.00, 90.00, 90.00 degrees
Sites, in units of the cell vectors:
Tc  0.6351  0.8649  0.5000
Tc  0.8649  0.3649  0.5000
Tc  0.3649  0.1351  0.5000
Tc  0.1351  0.6351  0.5000
Ta  0.6463  0.1463  0.0000
Ta  0.3537  0.8537  0.0000
Ta  0.1463  0.3537  0.0000
Ta  0.8537  0.6463  0.0000
Br  0.5000  0.5000  0.0000
Br  0.0000  0.0000  0.0000

Computed properties:
density of states at the Fermi level: 7.4 states/eV/cell
magnetization: 0.00 μB per atom
raw formation energy: 0.39 eV per atom
└──

In this way, the eminence of Agni, Jala and Vaayu, in the body, is thus mentioned. There also, wind element is considered, by Yogic scholars, more important among them. 30. 

== Materials data, as found in the file ==
____________
(1)
The following is a PBE calculation of a relaxed structure of BaH6Se2N2, from the Alexandria database.

Cell: 4.9260 4.9834 8.2310 Å, 78.72 74.81 82.30°
Positions (direct):
Ba: 0.0000 0.0000 0.0000
H: 0.0636 0.3977 0.6341
H: 0.3232 0.1997 0.5325
H: 0.3793 0.3752 0.6698
H: 0.6207 0.6248 0.3302
H: 0.6768 0.8003 0.4675
H: 0.9364 0.6023 0.3659
Se: 0.3833 0.3793 0.1374
Se: 0.6167 0.6207 0.8626
N: 0.2358 0.2629 0.6474
N: 0.7642 0.7371 0.3526

Calculated values
Its space-group type is P-1, No. 2. For the total energy, the calculation gives -4.780 eV per atom. As for the density of states at the Fermi level: 0.0 states/eV/f.u.

***

(2)
The following is a PBE calculation of a relaxed structure of KBeSN2, from the Alexandria database.

Cell: 4.7653 4.7653 6.1059 Å, 90.00 90.00 90.00°
Positions (direct):
K: 0.0000 0.0000 0.0000
Be: 0.5000 0.5000 0.5000
S: 0.0000 0.0000 0.5000
N: 0.0000 0.5000 0.0000
N: 0.5000 0.0000 0.0000

Calculated values
Its space-group type is P4/mmm, No. 123. The energy relative to the lowest polymorph listed for this composition is 7.65 eV/f.u. The calculation puts the raw formation energy at 2.605 eV/atom. As for the density of states at the Fermi level: 1.6 states/eV/f.u.

***

(3)
The following is a PBE calculation of a relaxed structure of Ca2TmZrP4, from the Alexandria database.

Cell: 6.8280 3.9210 7.0304 Å, 90.00 108.68 90.00°
Positions (direct):
Ca: 0.0000 0.0000 0.0000
Ca: 0.5000 0.5000 0.0000
Tm: 0.0000 0.5000 0.5000
Zr: 0.5000 0.0000 0.5000
P: 0.2525 0.0000 0.7296
P: 0.2665 0.5000 0.2743
P: 0.7335 0.5000 0.7257
P: 0.7475 0.0000 0.2704

Calculated values
The formation energy from the elements is -1.236 eV/atom. Its space-group type is P2/m, No. 10. As for the density of states at the Fermi level: 3.6 states/eV/f.u.


Tb4PrSm2Dy | PBE-GGA | relaxed

Values from the calculation:
calculated formation energy: 0.412 eV/atom
V: 540.9 Å³ per cell
total magnetic moment: 2.72 μB/f.u.

Cell: 9.5489 9.5489 6.8536 Å, 111.03 111.03 88.34°
Positions (direct):
Tb 0.2471 0.2484 0.4969
Tb 0.2470 0.7523 0.5006
Tb 0.2484 0.2471 0.9969
Tb 0.2477 0.7530 0.9994
Tb 0.7523 0.2470 0.0006
Tb 0.7516 0.7529 0.0031
Tb 0.7530 0.2477 0.4994
Tb 0.7529 0.7516 0.5031
Pr 0.0000 0.5000 0.0000
Pr 0.5000 0.0000 0.5000
Sm 0.0000 0.5000 0.5000
Sm 0.5000 0.0000 0.0000
Sm 0.5000 0.5000 0.0000
Sm 0.5000 0.5000 0.5000
Dy 0.0000 0.0000 0.0000
Dy 0.0000 0.0000 0.5000


# 1
Entry from the Open Quantum Materials Database: a relaxed SrInSnPd2 crystal (PBE-GGA).

Unit cell a=4.7002 b=4.7002 c=10.8455 alpha=90.00 beta=90.00 gamma=90.00
With the nearest neighbours (Å) after each atom.
Positions (direct):
Sr: 0.2500 0.2500 0.2407  8 Pd 3.51-3.59, 5 Sn 3.57-3.92, 4 In 3.67
Sr: 0.7500 0.7500 0.7593  8 Pd 3.51-3.59, 5 Sn 3.57-3.92, 4 In 3.67
In: 0.2500 0.7500 0.5000  4 Pd 2.77
In: 0.7500 0.2500 0.5000  4 Pd 2.77
Sn: 0.2500 0.2500 0.8792  5 Pd 2.65-2.69
Sn: 0.7500 0.7500 0.1208  5 Pd 2.65-2.69
Pd: 0.2500 0.2500 0.6347  1 Sn 2.65, 4 In 2.77
Pd: 0.2500 0.7500 0.0000  4 Sn 2.69
____________

So, in the function of either abandoning or retaining his own body, by a Yogin, the wind element: external as well as internal, is to be contemplated upon. 31. 

Having practiced breath-control, the stomachic fire, which is dependent on it, gets itself regulated. Thereby, his body would sustain for long time. 32. 

When, for a Yogin, there would be apathy for retention of the body; and there would arise the desire for discarding it, then, he may abandon it, after meditating upon wind element. 33. 

Having ascertained the nature of wind element, contained in human body, as well as outer cosmos, the Yoga-expert should initially prepare a very firm seat. 34. 

To attain whatever celestial world, would be his own desideratum, he should meditate, at heart, upon the wind element to escort, to that destination; and visualising oneself to be located therein, he should discard his own mortal body. 35. 

The yogin, who has assumed the form of wind-element (Vayurupa: gaseous state), and the role of perennial time and becomes everywhere fearless. He attains the state (loka) as per his own wish, while being praised by the gods etc. 36. 

Then, he obtains Lordly (Bhagawati) body, due to the grace of Vasudeva; and continues to live there over, while relishing the Supreme bliss. 37. 

This yogin, thus, attains the sublime celestial abode, of the Supreme Person; and directly serves His lotus like feet, as does Goddess Rama. He gets the cherished happiness, by serving the diety, which is being contemplated upon by the eminent seers. 38. 

Thus ends the sixty-third chapter entitled, ‘narration of internal and external forms of five elements, in topic of Yoga,’ in the fifth Prakaran of Satsangi jivan, the life story of Lord Narayan, also titled as Dharmashastra. (the rules of the code of conduct). 63